‘I say build a wall and make Trump pay for it’

Letters to the editor, Nov. 12, 2020: Readers weighed in on our latest cover story, the sorry state of the U.S.A. and the ‘stubborn, scaly, fork-tongued menace on the loose in America’

The Argentine black and white tegu can grow as long as 130 cm and eats just about anything (Photograph by Nicole Craine)

The Argentine black and white tegu can grow as long as 130 cm and eats just about anything (Photograph by Nicole Craine)

Conjuring up hope

In October, Brian Bethune wrote a cover story about the importance of hope throughout history and why the world still needs it, even though there are plenty of reasons to give up.

Your latest cover story (“Have a little hope,” Civilization, October 2020) did little to raise my level of hope, but it did focus my despair on how little hope there is in Canada that we will ever see any political leadership that can mitigate the tragedies that loom before us. I do believe there is hope that mankind (peoplekind!) will emerge from the next century with some wonderful achievements in the progress of civilization. History gives us many examples of such progress: one is the United Nations, which emerged after two world wars. The unfortunate historical reality is that the UN emerged only after millions of humans died in misery, along with their personal hopes. One can only wonder how many millions or billions of humans will die in misery before that hoped-for progress in civilization occurs.
—Shane Nestruck, Winnipeg

There is nothing wrong with this world. The only wrong part is the human beings who live on it.
—Chris Pauw, Thunder Bay, Ont.

I’ll take Canada

_Calculated molecules that have nothing to do with the entry_
Computed, not measured: the molecule C17H26N2O5S in a non-equilibrium geometry, with wB97M-V/def2-TZVPD.

The geometry in XYZ format:
```
51
Properties=species:S:1:pos:R:3:forces:R:3:lowdin_charge:R:1
C -2.566 -3.231 2.094 -0.1102 -0.0514 0.2001 -0.08
H -3.656 -3.120 2.073 0.0540 0.0166 0.0157 0.10
O -1.999 -3.035 0.824 0.1275 0.2128 -0.3889 -0.11
C -2.069 -1.791 0.253 0.1033 -0.1444 -0.0476 -0.20
C -2.793 -0.741 0.804 -0.0220 -0.0896 0.1103 -0.01
C -2.849 0.505 0.205 0.0352 -0.0188 -0.0929 -0.05
C -2.166 0.748 -0.977 0.0130 -0.0826 -0.0871 -0.24
C -1.451 -0.300 -1.534 -0.1889 -0.1780 0.1359 0.02
C -1.383 -1.564 -0.955 -0.0449 0.0915 -0.0552 -0.21
O -0.629 -2.452 -1.663 -0.3171 0.3251 -0.0024 -0.09
C -0.214 -3.689 -1.108 0.1889 -0.4940 0.1578 -0.06
H 0.440 -3.537 -0.246 -0.0953 -0.0279 -0.0757 0.08
H -1.062 -4.314 -0.832 0.1079 0.0387 -0.0798 0.09
H 0.351 -4.172 -1.905 0.0057 0.0119 0.0618 0.10
H -0.910 -0.156 -2.458 0.1144 0.0231 -0.1057 0.13
C -2.145 2.100 -1.637 -0.0128 0.1148 0.0867 -0.12
H -1.336 2.117 -2.367 -0.0525 0.0227 -0.0322 0.11
H -3.084 2.273 -2.170 0.0251 0.0361 -0.0694 0.12
C -1.930 3.258 -0.646 0.1243 -0.0487 -0.2898 -0.17
N -0.929 2.963 0.358 -0.3344 0.0803 0.1352 0.07
C 0.386 2.859 0.063 -0.0587 0.0458 0.7836 -0.46
O 0.832 3.137 -1.030 0.1289 0.0830 -0.5101 0.08
C 1.250 2.435 1.257 0.2775 0.0450 0.0387 -0.22
C 2.732 2.373 0.870 -0.2126 -0.0529 -0.2213 -0.12
C 2.998 1.212 -0.089 0.5071 0.5234 -0.2421 -0.19
N 2.521 -0.025 0.487 0.4338 -0.8518 -0.2295 -0.24
S 3.107 -1.416 -0.193 0.0666 -0.1015 -0.1945 0.61
O 4.536 -1.326 -0.194 0.0663 0.2572 -0.2314 -0.30
O 2.494 -2.514 0.499 -0.2672 0.0233 -0.0879 -0.31
C 2.549 -1.449 -1.919 0.2411 0.1247 0.9705 -0.09
H 1.471 -1.531 -1.940 -0.2233 0.0134 0.0038 0.04
H 2.896 -0.547 -2.405 0.0742 0.1818 -0.1143 0.06
H 3.005 -2.319 -2.372 0.1195 -0.1735 -0.0324 0.07
C 1.112 -0.014 0.786 -0.6641 -0.1581 0.3401 -0.19
C 0.832 1.070 1.821 0.0263 -0.0239 -0.2149 -0.11
H 1.421 0.865 2.716 -0.0428 -0.0097 0.0583 0.13
H -0.225 1.043 2.091 -0.0009 -0.0493 0.0305 0.11
H 0.861 -1.003 1.171 -0.1983 0.1339 -0.0102 0.12
H 0.515 0.184 -0.116 0.0413 -0.0591 0.0949 0.12
H 4.068 1.088 -0.261 -0.0368 0.1886 -0.0453 0.12
H 2.495 1.427 -1.041 0.0786 -0.0298 0.0564 0.12
H 3.024 3.303 0.382 0.0495 -0.0283 0.0294 0.12
H 3.331 2.241 1.772 0.0268 0.0148 0.0296 0.12
H 1.115 3.202 2.030 -0.0112 -0.0542 -0.0768 0.15
H -1.258 2.620 1.244 0.1408 0.0020 -0.0455 0.12
H -2.857 3.505 -0.127 0.0597 0.0326 -0.0186 0.12
H -1.597 4.135 -1.207 -0.1579 -0.0254 0.0777 0.12
H -3.440 1.281 0.668 -0.0752 0.1141 0.0789 0.11
H -3.338 -0.894 1.722 -0.0339 -0.0748 0.0892 0.10
H -2.142 -2.548 2.836 -0.0244 -0.0034 -0.0252 0.10
H -2.317 -4.255 2.366 -0.0520 0.0737 0.0416 0.10
```
Forces are in eV/Å.

* total energy: -1547.28357 a.u.
* ΔE to the lowest compared entry with this formula, charge and spin: 142.9 kJ/mol
* max |F|: 1.008 eV Å⁻¹

----------

P:

In October, Adnan R. Khan wrote about his experience living in the United States in the lead up to the 2020 U.S. election, reflecting on the political polarization gripping the country and the apocalyptic mood of a nation in crisis.

Molecular data that have nothing to do with the piece:
'''
{"formula": "C3H9NO3", "method": "ωB97M-V/def2-TZVPD", "species": ["O", "C", "N", "C", "C", "O", "H", "H", "H", "H", "H", "H", "H", "O", "H", "H"], "positions_angstrom": [[-0.678, -2.529, 2.005], [0.241, -2.304, 1.229], [0.507, -0.980, 1.085], [1.307, -0.489, -0.051], [0.644, 0.845, -0.799], [-0.061, 1.467, 0.221], [0.885, -3.180, 1.023], [-0.163, -0.266, 1.371], [2.371, -0.219, 0.324], [1.554, -1.286, -0.993], [1.341, 1.491, -1.366], [-0.062, 0.431, -1.448], [-0.618, 2.144, -0.221], [-2.403, 1.868, -1.134], [-2.631, 0.808, -0.992], [-2.234, 2.199, -0.254]], "orbital_gap_ev": 9.79, "homo_ha": -0.3468, "charge": 0, "de_lowest_kj_mol": 309.1, "max_force_ev_per_a": 4.46}

----------

(1)
This record from the Open Molecules 2025 dataset describes C20H20IrN7OS as an isolated structure. The level of theory is the ωB97M-V functional and the def2-TZVPD basis.

CARTESIAN COORDINATES (ANGSTROEM)
Ir -0.64 -1.28 -1.86
N 2.51 0.08 -4.48
C 1.45 -0.52 -3.93
S 1.58 -0.84 -2.17
N 0.47 -0.87 -4.72
N -0.54 -1.44 -4.00
C -1.35 -2.26 -4.55
C -2.29 -2.95 -3.65
C -3.31 -3.75 -4.13
C -4.12 -4.42 -3.23
C -3.89 -4.28 -1.87
C -2.85 -3.48 -1.45
N -2.06 -2.82 -2.32
H 3.34 0.28 -3.94
H 2.54 0.21 -5.48
H -1.29 -2.49 -5.60
H -3.45 -3.85 -5.19
H -4.93 -5.04 -3.59
H -4.50 -4.80 -1.14
H -2.61 -3.36 -0.41
C 4.81 0.10 5.67
C 3.76 0.65 4.79
C 3.91 1.92 4.18
C 2.95 2.44 3.36
C 1.76 1.68 3.11
N 0.75 2.10 2.33
C 0.60 3.39 1.72
O 1.31 4.31 2.00
N -0.51 3.51 0.93
C -1.30 2.55 0.25
C -2.64 2.83 0.03
C -3.41 1.94 -0.68
C -2.83 0.78 -1.16
N -1.53 0.51 -0.94
C -0.78 1.38 -0.27
C 1.61 0.39 3.72
C 2.58 -0.10 4.53
H 5.62 0.80 5.86
H 5.24 -0.80 5.21
H 4.38 -0.23 6.62
H 4.81 2.50 4.37
H 3.07 3.42 2.91
H -0.04 1.47 2.25
H -0.73 4.48 0.76
H -3.08 3.75 0.41
H -4.46 2.14 -0.88
H -3.39 0.05 -1.73
H 0.28 1.14 -0.21
H 0.71 -0.18 3.53
H 2.46 -1.07 4.99

Calculated values
Spin multiplicity: 5
ΔE to the lowest compared entry with this formula, charge and spin in kcal/mol: 3.3
Charge: +2
Gap between HOMO and LUMO (spin up / spin down) in eV: 6.98 / 4.80

Löwdin atomic charge list, values in e, 4 entries:
1. Ir 0.992
2. N 0.102
3. C -0.793
4. S 0.535

---

(2)
This record from the Open Molecules 2025 dataset describes the molecule C20H20N2 in a non-equilibrium geometry. The level of theory is the ωB97M-V functional and the def2-TZVPD basis.

CARTESIAN COORDINATES (ANGSTROEM)
N -1.21 -0.77 -1.60
C -1.80 -1.63 -0.80
C 0.98 -1.97 3.17
C -1.53 -1.26 0.57
C -0.82 -0.15 0.52
C -0.09 -1.31 3.74
C 2.81 1.17 -4.47
C 0.36 3.74 -1.19
C 2.39 -0.03 -3.94
C -0.19 2.55 -0.69
C 2.46 2.38 -3.93
C 1.27 3.68 -2.26
C 1.50 -0.01 -2.87
C 0.10 1.29 -1.28
C 1.58 2.44 -2.83
C 1.04 1.24 -2.33
N -0.60 0.16 -0.80
C -2.67 -2.72 -1.26
C -0.20 -1.18 5.22
C -1.83 -1.79 1.92
C -0.48 0.38 1.87
C -1.12 -0.70 2.82
H 1.10 -2.11 2.12
H 1.72 -2.50 3.75
H 3.54 1.17 -5.27
H 0.09 4.69 -0.76
H 2.69 -0.99 -4.32
H -0.94 2.55 0.07
H 2.92 3.27 -4.40
H 1.64 4.62 -2.67
H 1.11 -0.89 -2.43
H -2.58 -3.53 -0.54
H -3.68 -2.32 -1.28
H -2.36 -3.07 -2.26
'''
Here the piece continues:

I agreed with the article by Adnan R. Khan (“Great American implosion,” Politics, October 2020). Robin Williams once referred to Canada as “the kindest country in the world.” He went on to say that Canada is “like a really nice apartment above a meth lab.” America has traditionally been referred to as a “melting pot,” which has been described as a monocultural metaphor for a heterogeneous society. But now it is the pot itself that is melting. When, to the widening gap between the haves and the have nots, you add racism, violence, guns, drugs, unemployment, a pandemic, climate change and stupidity, you get the soup called Amuraca. It is a bitter soup indeed, and I will not be going down any time soon for a taste. No, I prefer Pierre Elliott Trudeau’s (circa 1968) vision of a “just society,” in which unarmed Black men are not typically shot in the back seven times by a police officer who, as far as I know, has not received so much as a reprimand. For my money, “peace, order and good government” trump “life, liberty and the pursuit of happiness” any day of the week. I say build a wall and make Trump pay for it.
—Richard Guy, Sudbury, Ont.

Just not seniors

I agree with Claudette Bouffard: in Trudeau’s eyes, we seniors are a burden to society (“Good Point,” Letters, September 2020). Our monthly pensions hardly cover monthly living costs, and when an extra expense comes along, we have to cut down on groceries or put off the electricity or heating bill and worry about that the next month. And so instead of offering a pandemic subsidy each month as he’s done for every other segment of the population, he offers us a one-time payment of $300, a slap in the face if ever I saw one. One more reminder of how much he hates seniors who, along with their forefathers, settled this country. Heaven forbid we need medical assistance or help day to day and we find ourselves in a care home.
—Harriet Worden, Saint John, N.B.

Métis identity

In October, Nadine Yousif wrote about the the killing of the two Métis-Cree men in Alberta, which has deepened Indigenous peoples’ sense that their lives are less valued.

Nadine Yousif writes, “Canada’s Constitution was amended in 1982 to recognize Métis—people of mixed Indigenous and European ancestry” (“Death and distrust in Alberta,” Justice, October 2020). This is misleading because the Constitution does not define Métis by ancestry. There is also currently a strong political movement to define Métis in cultural terms that limit membership (and therefore Aboriginal rights) to Western Canadians in communities traditionally considered Métis. If validated (whether by statute or by judicial decision), this definition might deny Aboriginal rights to people in Eastern Canada who claim either mixed ancestry or membership in a Métis cultural community. There are now a number of rival or competing Métis organizations. In fact, 30-odd Métis organizations were founded in Quebec and Nova Scotia since the year 2000 expressly in order to secure Aboriginal status.
—Donald Phillipson, Carlsbad Springs, Ont.


In September, Allen Abel wrote about a trip he took to Georgia to look for the Argentine tegu

I was about to read “Outlaw of the South” (United States, September 2020) and spotted the text under the headline: “There’s a stubborn, scaly, fork-tongued menace on the loose in America.” I could not help but wonder how many people read that and thought, “Geez, here’s yet another article about President Donald J. Trump.”
—Bert Hennigar, Mosherville, N.S.

COVID hatred

In August, Jessica Lee spoke to Chinese Canadians about the racism they’ve faced since the start of the pandemic.

Jessica Lee’s piece on the atrociously ignorant vigilante attacks on Chinese Canadians is so effective (“Targets of hate,” Racism, September 2020). I hope it is educational to many. With no commentary other than her introduction, the personal stories recounted by these seven Canadians are poignant and heartbreaking. Among the many, Rachel Chen’s statement is gutting—perhaps without her intent. She states that in contrast to his younger brother, Mason, who’s in Grade 1, she hopes her 10-year-old son, Tristan, has “built up enough confidence . . . to be able to handle racist remarks.” My heart sinks. The suggestion is that it’s somehow incumbent on a 10-year-old to have grown a thick enough skin to handle being told that he has coronavirus and eats bats because he is Chinese. In my case, as a Korean-Canadian raised in Scarborough, Ont., should I have been sufficiently thick-skinned to be unaffected by being called a “chink” plenty of times in grade school? Or to have been excluded by the white boys’ and Black boys’ teams on the Grade 5 soccer field? We can do better. We must. For Mason and Tristan, as well as for children of every single skin colour, including white kids. All of them.
—Rick Byun, Toronto

Foth fandom

Thank you for your moving and insightful tributes to one of my favourite writers, Allan Fotheringham (“Loved, feared and never ignored,” In Memoriam, and “The life and bravado of Allan Fotheringham,” October 2020). I once had a close encounter with Dr. Foth while strolling through Eaton’s in Vancouver in the late ’70s. I noted, at the time, that he moved quickly, probably due to his track-star past. But at the time I was too shy to even attempt a greeting. I always admired his wit and sarcasm. In later years, when I entered the world of print journalism after 12 years in radio, I consciously or unconsciously tried to emulate his writing style in various columns. I even stole his beloved phrase “Regressive Convertibles” a few times. Fotheringham was an icon who won’t soon be forgotten, especially by yours truly.
—Ed Moore, Edson, Alta.


In September, Aaron Hutchins wrote about how a project featuring a statue of every Canadian PM has become a politically charged minefield.

It seems that in the fame game, the more statues of you get pulled down, the more important you were or, at least, the more famous you’ve become—as a de-platformed statue (“Statue of limitations,” Ontario, October 2020). Historic figures were given statue status because descendants wanted to commemorate their heroes. You’d think remembering together would be something any group would be free to do in a free society. Those who wish to can also freely forget, but paradoxically the more publicity their statue destruction causes, the less forgotten the historic figures will be. Many figures no one had heard of have gotten a new lease on fame. Indeed, if a statue hasn’t had paint thrown onto it, the person it represented, were she or he alive to know it, might feel quite rejected. Enemies confer significance; only the most banal non-doer never makes any. There’s something to be said though for anonymity, and probably more than a few of the commemorated wish they’d never become such famous objects of attention. Some, newly reviled by ideologues, would probably be happy to rest in peace, but they’re paradoxically being revived. When they lower your memorial, they raise your profile. Maybe some of the long-forgotten deceased are guffawing in their graves about that.
—S. B. Julian, Victoria

The Meng dilemma

In September, Shannon Gormley wrote a column about why Canada should not pay the ‘ransom’ of Meng Wanzhou in return for the two Michaels being detained in China.

Shannon Gormley’s article claims there are options to save Michael Kovrig and Michael Spavor other than trading Meng Wanzhou (“When not to pay a ransom,” Diplomacy, October 2020). But the Chinese have made it clear they are interested in getting Meng back ASAP, and Canada wants the two Michaels back. Canada will only have Meng for a limited amount of time; either the courts liberate her or she is extradited to the U.S. In either case, we lose our leverage. Those who think that making such an exchange would set a terrible precedent appear reconciled to sacrificing the two Michaels for some greater principle. There can be no greater principle than saving the lives of innocent Canadians. Remember that Pierre Elliott Trudeau said he would never negotiate with the FLQ terrorists, but when the kidnappers of James Cross were discovered, he traded their liberty in Cuba for the life of James Cross. There were no more FLQ kidnappings. Canadian diplomats Robert Fowler and Louis Guay, kidnapped in Mali, would not be alive today if a ransom had not been paid. Ronald Reagan traded arms to Iran for the liberation of Americans kidnapped in Lebanon, even though he had claimed he would never do so. Real diplomacy is the art of the possible, and you can’t always get what you want by sticking to lofty principles. It is time for Justin Trudeau to do a swap and save the two Michaels. What happens afterward can be dealt with afterward.
—John Noble, retired Canadian ambassador, Ottawa

Nuclear fission

Andray Domise’s column on the family was such a jumble that I imagine many readers simply gave up and turned the page (“We are not the nuclear family,” Black Lives, September 2020). But they would have missed his key point: “The most brutal social structure that Western civilization has managed to force on the present-day Black family—the African family—is the alienating nuclear family structure.” The nuclear family, two parents raising their children, is a “brutal social structure”? The nuclear family has been “forced” on today’s Black families? The racial reckoning conversation needs more thoughtful and more inclusive ideas than presented by your columnist. You can do better, Maclean’s.
—David McConkey, Brandon, Man.

# Unrelated to this article: data records
┌──
[1]
90
Properties=species:S:1:pos:R:3:mulliken_charge:R:1 method="wB97M-V/def2-TZVPD" energy_ev=-48753.7359 smiles="CCCOOC(=O)O[C@@H](C)F.COC[C@@H](C)N.COC[C@@H](C)N.COC[C@@H](C)N.COC[C@@H](C)N"
C -1.6884 7.0623 4.6172 -0.853
C -1.5534 6.2276 3.1819 -0.548
C -2.3940 4.7886 3.2058 -0.074
O -3.6282 4.9181 2.4156 -0.304
O -4.5091 4.0063 2.7143 -0.006
C -5.5160 4.4894 3.6719 0.481
O -5.5848 3.8470 4.8706 -0.457
O -6.4980 5.5623 3.4500 -0.340
C -5.9344 6.8988 3.6953 0.711
C -7.0026 8.1369 3.3584 -1.022
F -5.4204 6.9370 5.0838 -0.316
H -1.0922 8.0580 4.4645 0.320
H -1.2196 6.4637 5.5131 0.278
H -2.8144 7.3094 4.8843 0.171
H -1.8485 6.8824 2.2528 0.277
H -0.3926 5.9792 3.0805 0.308
H -2.5886 4.4748 4.3253 0.274
H -1.6781 4.0020 2.6649 0.146
H -5.0473 7.0475 2.9272 0.085
H -7.1490 8.8701 4.2610 0.288
H -8.0288 7.7143 2.9231 0.278
H -6.5528 8.7953 2.4701 0.277
C -4.4553 -1.2109 2.2702 -1.525
C -4.3820 0.3128 2.3319 0.667
C -3.6451 0.9476 1.1298 -0.510
O -2.2209 0.8181 1.1737 -0.447
C -1.7335 -0.4478 0.7557 -0.368
N -3.7707 0.7097 3.6074 -0.756
H -3.5171 -1.6924 2.5536 0.192
H -5.2203 -1.5805 2.9631 0.430
H -4.7262 -1.5526 1.2656 0.157
H -5.4135 0.6856 2.3154 0.450
H -3.8425 2.0261 1.1455 0.096
H -4.0372 0.5765 0.1746 0.414
H -2.3384 -0.8791 -0.0478 0.300
H -1.6874 -1.1282 1.6081 0.217
H -0.7126 -0.3159 0.3881 0.079
H -3.8213 1.7260 3.6921 0.213
H -2.7658 0.5247 3.5351 0.371
C -2.4233 -6.9683 -0.0785 -1.409
C -1.6099 -6.0187 0.7976 0.290
C -2.4764 -5.0282 1.6095 -0.792
O -3.0189 -3.9499 0.8413 -0.141
C -4.1754 -4.2876 0.0908 -0.856
N -0.6326 -5.3138 -0.0427 -0.714
H -2.7891 -6.4943 -0.9916 0.287
H -1.8041 -7.8172 -0.3911 0.351
H -3.2835 -7.3697 0.4677 0.345
H -1.0601 -6.6366 1.5180 0.420
H -1.8332 -4.5576 2.3627 0.325
H -3.2702 -5.5459 2.1623 0.444
H -4.8067 -5.0160 0.6090 0.347
H -3.8841 -4.6636 -0.8918 0.247
H -4.7572 -3.3761 -0.0683 0.300
H -0.0207 -4.7617 0.5603 0.267
H -1.1442 -4.6058 -0.5779 0.332
C 2.1059 0.0490 -3.3332 -1.438
C 1.7395 -0.8353 -2.1438 0.631
C 2.6801 -0.6618 -0.9288 -0.603
O 3.9582 -1.2877 -1.0762 -0.426
C 4.8877 -0.5482 -1.8534 -0.327
N 1.6879 -2.2346 -2.5879 -0.699
H 2.9569 -0.3341 -3.9001 0.278
H 1.2637 0.1094 -4.0323 0.369
H 2.3407 1.0685 -3.0093 0.335
H 0.7334 -0.5406 -1.8214 0.182
H 2.2108 -1.1518 -0.0673 0.254
H 2.7967 0.3946 -0.6565 0.406
H 4.7742 0.5317 -1.7170 0.284
H 4.7856 -0.8141 -2.9073 -0.039
H 5.8959 -0.8327 -1.5416 0.249
H 1.3389 -2.8091 -1.8191 0.200
H 2.6542 -2.5535 -2.7060 0.337
C 9.2846 -2.4377 -6.0493 -1.392
C 8.2470 -3.0577 -5.1166 0.303
C 7.0734 -2.1100 -4.7766 -0.691
O 7.3960 -1.0843 -3.8325 -0.292
C 8.0839 0.0272 -4.3857 -0.773
N 8.9218 -3.5345 -3.9020 -0.742
H 9.9546 -1.7443 -5.5369 0.286
H 9.9158 -3.2206 -6.4855 0.352
H 8.8033 -1.9026 -6.8747 0.340
H 7.8242 -3.9258 -5.6370 0.407
H 6.2849 -2.7072 -4.3033 0.299
H 6.6301 -1.6760 -5.6816 0.452
H 7.7576 0.2493 -5.4064 0.348
H 9.1606 -0.1506 -4.3578 0.239
H 7.8812 0.9000 -3.7596 0.263
H 8.2456 -4.0430 -3.3302 0.279
H 9.1457 -2.7120 -3.3340 0.330



[2]
97
└──
# So much for the data records

I just read the article by Rav Arora about how white guilt and atonement strip people who belong to visible minorities of their agency, and enjoyed it thoroughly (“White privilege?” Race, September 2020). This is a piece calling for wisdom, clarity of thought and, most importantly, unity in a very divisive time. This sort of rhetoric is needed more often. I am reminded of one of my heroes, Daryl Davis, who has been steadily talking KKK members out of their racist behaviours by befriending them. Arora’s article calls for redemption, grace and healing, and that’s what we need. It doesn’t sidestep the fact of racism, but it does maintain individual rights and responsibilities and encourages the reader forward to reconciliation. It is one of the few truly anti-racist pieces I have read.
—Ryan M. Sero, Hamilton